Wednesday, May 11, 2022

Squeeze your eyes shut, cross your fingers and hope

The Three Waters project is a con and a fiasco on every level.

First, it fails to satisfy even the most basic democratic test. A system in which the nation’s water infrastructure is run by opaque “entities” where 16 percent of the population wields 50 percent of the power (and that’s assuming the representatives of the iwi elite truly speak for all people of Maori descent, which is far from assured) makes a mockery of representative government.

Second, and in addition to the above, it severs the links by which the public is able to exercise control over infrastructure that it owns. The recent attempt to overcome opposition to Three Waters by tweaking the shareholding arrangements, so as to create an illusion of financial control by councils, was a feat of prestidigitation that fooled no one.

Those two failings could be described as the primary constitutional objections to Three Waters, but there are others – such as the absence of an informed mandate from the public (co-governance wasn’t mentioned in Labour’s 2020 manifesto) and not even a pretence of adequate consultation. (Far from it. Once Nanaia Mahuta realised dozens of councils intended to fight her asset grab, she resolved to bulldoze it through whether they liked it or not.)

A cynic might say such arrogance should be no surprise coming from a minister who enjoys quasi-regal standing within the Tainui confederation and is thus steeped in a hierarchical tribal culture that dates back to the Maori King Movement. While her manner is quiet and understated, it’s possible she’s accustomed to getting her own way by virtue of her hereditary status. (Just a personal theory …)

Against all that, we have a vague promise that the country’s water infrastructure will be better funded and more efficiently managed under the new mechanisms. But while even critics of Three Waters acknowledge there’s scope for improvement, the failings of the existing arrangements – and especially the supposed health risks from poor water – have been grossly overstated in an attempt to frighten the public, with assistance from a crude TV propaganda campaign that would have embarrassed even Joseph Goebbels.

So much for the constitutional flaws (for want of a better term) in the Three Waters project. But on top of that, and just as glaring, are the potential bureaucratic and administrative fishhooks.

Today’s Wairarapa Times-Age reports concern within local councils – or should I say panic? – over the cost of the transition to the new structure. Carterton District Council, one of the smallest in the country (population 9700), expects to spend $850,000 preparing for Three Waters over the next two years. The council’s chief executive says the plan has imposed an “enormous” programme of work that the council’s not resourced to cope with it. Mayor Greg Laing describes the process as “absolutely appalling”.

The Times-Age quotes the Department of Internal Affairs as saying funding will be provided to cover transition costs, but it’s obvious that councils haven’t seen any of the money and don’t know when they will. In any case, South Wairarapa’s mayor Alex Beijen, who presides over a district with a population of only 11,000 (and one that’s already financially stretched to breaking point), says resourcing will be a big challenge even with extra government money.

Reading between the lines, it seems clear the process has been so rushed that no one thought to put transitional funding arrangements in place – or alternatively, didn’t have the time. Could this urgency have anything to do with the fact that there’s an election next year and Labour is anxious to lock in its audacious ideological projects before it gets booted out of office, as seems more likely with every passing day?

Similar unseemly haste is evident in health, where the consequences, at least on a personal level, could be even more catastrophic. In a scathing assessment, Ian Powell – former executive director of the Association of Salaried Medical Specialists – points to the massive disruption and destabilisation likely to be caused by Health Minister Andrew Little’s madcap scheme to abolish district health boards and replace them with … what, exactly? 

If anyone knows, we haven’t been told. That's exactly Powell's point. But in the meantime, God alone knows how much money, energy and expertise will be diverted from the provision of health care – to the detriment of sick people desperately in need of treatment – as the health system struggles to restructure itself to comply with Little’s ill-defined vision.

As Powell points out, “With only 40 working days to go, DHBs have no more information on what will replace them on 1 July than they had on 21 April last year when the health minister announced their abolition.” You can read his damning appraisal here – and if that’s not depressing enough, Richard Prebble has more to say about the state of the health system here.

All this has a wearying familiarity. Labour governments tend to come into office bursting with grand ideas but lacking the ministerial talent necessary to convert their missionary zeal into effective action. Their ambitions consistently outstrip their ability to deliver, resulting in reliance on obscurantist jargon and slogans (Powell cites the empty vow to end the “postcode lottery” in health care) and promiscuous spending binges as a substitute for good policy. Little, who should have been one of Labour’s more competent ministers, has turned out to be anything but.

When it’s plain to everyone except fervent true believers that the wheels are falling off, Labour collectively squeezes its eyes shut, crosses its fingers and hopes everything will magically turn out okay. That’s what Mahuta and Little appear to be doing now, metaphorically speaking, and by the time voters are able to do anything it will be too late. The damage will have been done.




  1. Unfortunately Prebble’s article is paywalled. But I can imagine it’ll be his usual common sense. Ms Ardern could use someone like Richard Prebble which would mean that there’d be one member of the Cabinet with ability. The Mahuta saga is appalling. A litany of lies with the sole purpose of enriching a tiny segment of the population. It’s not even 17% - the people appointed to these boards will all be from the tribes, so if you’re not on the A List then forget about it. How does she explain the boundaries of the 4 entities? She doesn’t of curse - explaining is not for aristocrats. Ms Mahuta is a very good example of what is wrong with inherited privileged and with seats in parliament being allotted on the basis of race.

  2. This government (if you can call it such), has either a myopic view to what they are doing and do not care OR they have a cunning plan that is actually coming together nicely.

    Either way the below, middle and abpve average citizen is getting literally bent over.

    It will not end well which ever as I do not beleive that the majority of the Nation will stand for the outcome for long if at all and those cracks have already shown.

    The very fact that 3 Waters, the DHB and the MHA to name the few of the many, shows that Labour are way too arrogant to listen to something as plainly understood by any child the thing called democracy.

  3. It is beyond a disgraceful this whole 3 Waters scam. Last week, John Bishop, Chris Bishop's father, wrote an opinion piece in the Dompost to which I responded and was published beneath a highlighted letter pushing a different narrative the following day. What I wrote was this
    "John Bishop in his column (A shameless asset grab, 6 May) sets out some critical and fundamental issues in regard to the proposed Three Waters reform. This reform will undoubtedly impact the daily lives of every New Zealander and, as the public will be picking up the ultimate tab, are we not entitled to know in plain language precisely the justification for Maori being given an undemocratic and disproportionately higher interest and say-so in these proposed entities, along with an exclusive right to tax us all in the form of fees or royalties? A claimed spiritual connection with water is one thing, but how is this directly relevant to: the collection and treatment and reticulation of potable water; the collection and dispersal of stormwater; and, the collection and treatment of sewage, all paid for by rate and taxpayers? Surely we are entitled to, and should be given a clear explanation of, how this governance structure relates and is appropriate to each of these activities individually, as opposed to being fobbed off with, and it all bundled in, nebulous and very dubious Treaty principles and mythology?"
    Except what was actually published (with no abridged notification) conveniently (and shamefully) deleted that part about the collection of fees / royalties. A small, but monumentally important detail that almost all column space given over to this reform on various media sites to date seldom mentions. I'm sure if the general public understood that this was coming their way they would be rather more animated and against this undemocratic asset grab John Bishop rightly identifies.
    As for the health reforms, don't even get me started about that disaster also coming our way. We've got hospices that are closing and hospitals crying out for staff who deserve better pay (and for it to be backdated btw), yet here between these two unmandated rorts more than a $billion will be wasted just setting them up. Heads certainly need to roll and, until they grow a spine, please don't look to National to fix it.

  4. I have emailed the chairman of the Independent Maori Statutory Board that advises Auckland Council on matters Maori today, asking if public comments by Tau Henare, its deputy chair, on twitter are OK with him...he called Seymour a wanker and affirmed the disparaging remarks by Willie J. I asked him if we are meant to take Henare & his role seriously given his conduct in a social media 'town square'....copied in Phil Goff as this board is regulated by the Council.It's just astonishing that guys like him get padded sinecures and behave like louts. Nothing will come of it of course but if I can give him even a few minutes discomfort then I will. WHat a disgrace.

# 1
13
Properties=species:S:1:pos:R:3:forces:R:3:lowdin_charge:R:1 method="wB97M-V/def2-TZVPD" spin_multiplicity=1 relative_energy_ev=5.196 homo_energy_ha=-0.3434 orbital_gap_ev=8.89
H -0.3058 0.7179 -2.8971 0.124 -0.025 0.098 0.077
H 0.8190 1.7857 -2.0143 -0.047 -0.143 -0.044 0.078
C 0.5217 0.7476 -2.1836 0.000 0.019 -0.062 -0.051
H -0.9429 -1.0609 2.9315 0.087 0.054 -0.015 0.092
H -0.7875 0.5843 2.7901 0.064 -0.086 0.008 0.094
C -0.0675 -0.4393 1.2248 -0.078 0.234 -0.009 -0.502
N -0.3554 -0.3092 2.5918 -0.123 -0.032 -0.005 0.103
H 1.3795 0.2265 -2.6218 -0.109 0.055 0.105 0.081
H 0.8801 -1.0681 1.0268 0.086 -0.073 -0.070 0.194
C 0.7151 0.4543 0.4164 -0.277 -0.245 -0.026 0.130
N -0.8837 -0.7062 -0.8309 0.310 0.269 -0.037 0.119
O -1.0935 -1.0670 0.4445 0.024 -0.014 0.160 -0.040
C 0.1211 0.1343 -0.8783 -0.063 -0.013 -0.103 -0.376

---

# 2
22
Properties=species:S:1:pos:R:3:forces:R:3:lowdin_charge:R:1 method="wB97M-V/def2-TZVPD" spin_multiplicity=1 relative_energy_ev=3.148 homo_energy_ha=-0.3003 orbital_gap_ev=8.58
H 1.2622 -2.5070 -0.0488 0.545 -1.261 0.760 0.058
H 2.3771 -1.5680 -1.2190 2.320 0.603 0.019 0.058
H 1.2747 -0.1812 -1.5678 0.532 -0.790 -0.090 0.084
H -2.4696 5.0960 -0.9969 0.000 -0.486 0.754 0.051
C 0.7584 -0.1150 1.2390 -2.987 2.499 -0.058 -0.109
C 1.4243 -1.2937 -1.5435 -0.817 3.274 3.037 -0.120
O -0.2904 2.5420 -2.2696 0.660 -1.786 -1.113 -0.091
H -1.1269 -0.9238 0.3359 0.598 -0.182 0.246 0.119
H -1.0445 -3.0123 1.8781 -1.264 -0.876 -0.253 0.043
H -1.0979 2.1134 -1.9621 -0.006 0.145 0.086 0.019
H -2.6378 3.7612 -0.2308 -0.035 -0.294 -0.160 0.013
H 0.1242 1.7988 -2.8122 -0.652 1.597 1.019 0.065
H 0.1839 0.3456 2.0542 0.282 -0.579 0.796 0.048
H 0.5382 -2.6600 2.3597 0.181 0.204 -0.123 0.073
H 1.4000 -1.6626 -2.4992 -1.388 -1.297 -2.407 0.035
H 0.7044 0.9188 0.6829 0.981 -2.353 -0.180 0.098
H 1.7233 -0.4361 1.6170 0.139 0.120 -0.347 0.071
O -2.5119 4.6985 -0.1031 0.036 0.795 -0.574 -0.064
C -0.3995 -2.1991 2.0333 2.222 0.368 -2.825 -0.044
H -0.6954 -1.5487 2.8130 -0.634 0.631 0.592 0.050
N 0.6514 -1.8633 -0.4599 -2.677 -2.341 0.829 -0.117
C -0.1482 -1.3035 0.6997 1.964 2.008 -0.007 -0.341

---

# 3
13
Properties=species:S:1:pos:R:3:forces:R:3:lowdin_charge:R:1 method="wB97M-V/def2-TZVPD" spin_multiplicity=1 relative_energy_ev=5.170 homo_energy_ha="-0.3552 / -0.3514" orbital_gap_ev="8.25 / 8.25"
O -2.7968 0.3698 0.8652 -0.036 0.030 -0.267 0.059
H 1.8212 0.4437 0.4948 0.159 -0.160 0.020 0.063
C -1.4509 0.4480 0.6842 0.439 -0.028 0.037 -0.623
C -0.8502 0.7979 -0.6047 -0.337 -0.469 0.272 0.221
H 3.2467 -0.4686 -0.1490 -0.165 0.077 0.001 0.081
C 2.2679 -0.0408 -0.3773 -0.013 0.012 -0.026 -0.084
H -1.3221 0.1674 -1.3936 0.089 0.217 0.288 0.019
N -0.6319 0.1797 1.6268 -0.182 0.050 -0.314 0.165
C 1.3310 -1.0661 -0.8316 -1.168 -0.498 -0.290 -0.300
H 2.3547 0.7186 -1.1550 0.097 -0.095 -0.003 0.083
H -3.2421 0.3739 0.0074 -0.046 -0.002 0.075 0.106
N 0.4890 -1.7900 -1.1694 1.076 0.754 0.358 0.135
H -1.1123 -0.3191 2.3840 0.087 0.110 -0.152 0.076

  5. Henare and Jackson are loudmouths and bullies who should be locked in a small, secure room together.

  6. I am hoping that the looming disaster that will be the hostile imposition of 3 Waters will tear Labour apart and bring down this appalling government. 3 Waters and the Maori Health Authority (with Mahuta's sister at its head) appear to be driven by Labour's Maori caucus who are wielding their naked electoral clout of some 15 seats. But with Labour slumping in the polls as the economy tanks and in response to these anti-democratic, racist and ill considered projects, upwards of twenty of their caucus colleagues are set to lose their seats at next year's election, while Labour itself will be tossed out of government. There must come a point when any political party places its own self-preservation above indulging the fantasies of a self-promoting clique.

  7. Great article! Blogs like this are now the primary source of reporting on what's happening to our democracy. Silencing the media is the only way something like Three Waters could ever be implemented without Nanaia's lies (and they are actual lies, as in intentionally false statements). For example, that councils will continue to have "ownership". They will have shared legal title, but they will not have any proprietary rights. That does not amount to ownership, not even close. And she claims that Mana Whenua will have "a say" in management. They'll have 50% of the top-level board; they'll have on average 20% of the council's 50%, they'll have the power to give instructions to the operating companies via the "Mana o te Wai" statement, and they'll have a veto since 75% approval is required to make decisions. Oh, and they will be the only group whose economic participation is explicitly protected! Another lie, Nanaia claims that she received legal advice from the Crown Law office that Maori somehow have rights and interests in three waters infrastructure (as in, pipes, pumping stations, sewerage treatment plants...). She's either lying or Crown Law have lost their marbles but we don't know since she won't release the advice. There's a court case pending about this but of course the media won't report on it. It's maddening. Meanwhile Willie Jackson says "democracy has changed" as if democracy is like the weather. We didn't wake up one day in 1993, look at the window and say "look, MMP happened", we had a referendum! Democracy only changes if we change it via informed consent of the voters. That's what happened with MMP and that hasn't happened with Maori co-governance and it never will, because 50% governance being given to 16% of people on a hereditary basis is not democracy changing; it's democracy ending.

  8. Now retired after my 50 year career as a pharmacist..
    I was working as an Advisory Pharmacist for the Ministry of Health (Medsafe) back in the 80's when the original health sector reforms took place - from central Ministry control, to Area Health boards (4 of them), then to District Health Boards.
    What I recall very clearly, was the personal distress, confusion, loss of jobs, arrive at work to find an envelope on your desk telling you that your job was "dis-established" from tomorrow, but you could apply for a role in the new structure. (Good luck mate, but who pays the mortgage in the meantime !!)

    Fortunately for me, I was an inspector under the Medicines Act, and my role was not "dis-established". But I had many friends and neighbours who did lose their jobs.
    At the time it happened, a journalist wrote a scathing comment along the lines that the "Health Department" treated it's staff with such harsh cruelty that it should be labelled the "Unhealth Department" or words to that effect. It was, in fact, just brutal !!
    Mr Little's so called reforms are just a repeat of the train crash of the early 80's. I really feel for the loyal DHB workers who are going to be dumped on the scrap heap, like back then. !!

  9. Democracy is indeed a wonderful thing but I have not noticed much of it in recent years or for that matter in the distant past. Councils have made a shambles of managing water resources yet the same old time servers get elected every three years and rates continue to outpace inflation. We have the same timeservers elected to DHBs and whilst there appear to do little to justify their existence. I suppose the blame lies with us for electing these no hopers plus the majority who cannot be bothered to vote. Three waters; abolition of DHBs; I doubt whether much will change. Those like Jackson and Henare will continue to use personal abuse as a debating tool. Goff will be comfortable in an overseas embassy. Mahuta will continue to mouth platitudes and Hipkin will continue to give press conferences in his Bermuda shorts whilst failing to answer the concerns of his constituents. Those of my age will celebrate the fact that we won’t have to put up with them much longer.
